# Listing
For Ca3Ga3Ag8, a DFT-relaxed cell (GGA-PBE, Alexandria) gives the computed PXRD pattern in this record (copper Kα).
Kinematic intensities with the Lorentz-polarization factor, no thermal factor.

Cell and atoms:
Cell lengths 8.537, 8.537, 8.537 Å; angles 148.50, 109.35, 79.40 degrees
Atoms (fractional coordinates):
Ca 0.000 0.000 0.000
Ca 0.297 0.297 0.000
Ca 0.703 0.703 0.000
Ga 0.317 0.500 0.817
Ga 0.500 0.000 0.500
Ga 0.683 0.500 0.183
Ag 0.020 0.660 0.360
Ag 0.163 0.873 0.290
Ag 0.299 0.660 0.640
Ag 0.417 0.127 0.290
Ag 0.583 0.873 0.710
Ag 0.701 0.340 0.360
Ag 0.837 0.127 0.710
Ag 0.980 0.340 0.640

Top 12 peaks for 10° ≤ 2θ ≤ 90°, by angle:
| two_theta | I_rel |
| --- | --- |
| 17.97 | 51 |
| 21.18 | 40 |
| 32.75 | 42 |
| 33.39 | 61 |
| 33.50 | 75 |
| 34.69 | 37 |
| 36.16 | 44 |
| 38.87 | 81 |
| 42.04 | 42 |
| 43.58 | 100 |
| 46.54 | 38 |
| 57.98 | 30 |

---

For Ca4GaAg2, a DFT-relaxed cell (GGA-PBE, Alexandria) gives the computed PXRD pattern in this record (copper Kα).
Kinematic intensities with the Lorentz-polarization factor, no thermal factor.

Cell and atoms:
Cell lengths 8.955, 8.955, 8.955 Å; angles 34.01, 34.01, 34.01 degrees
Atoms (fractional coordinates):
Ca 0.124 0.124 0.124
Ca 0.375 0.375 0.375
Ca 0.625 0.625 0.625
Ca 0.876 0.876 0.876
Ga 0.000 0.000 0.000
Ag 0.251 0.251 0.251
Ag 0.749 0.749 0.749

Top 12 peaks for 10° ≤ 2θ ≤ 90°, by angle:
| two_theta | I_rel |
| --- | --- |
| 10.50 | 15 |
| 20.80 | 37 |
| 24.15 | 18 |
| 34.24 | 100 |
| 34.59 | 97 |
| 40.56 | 13 |
| 49.46 | 33 |
| 61.31 | 17 |
| 61.53 | 33 |
| 62.20 | 16 |
| 82.53 | 14 |
| 83.12 | 13 |

---

For CaGa8Ag2, a DFT-relaxed cell (GGA-PBE, Alexandria) gives the computed PXRD pattern in this record (copper Kα).
Kinematic intensities with the Lorentz-polarization factor, no thermal factor.

Cell and atoms:
Cell lengths 5.348, 5.348, 9.280 Å; angles 90.00, 90.00, 90.00 degrees
Atoms (fractional coordinates):
Ca 0.000 0.000 0.000
Ga 0.253 0.253 0.273
Ga 0.253 0.253 0.727
Ga 0.253 0.747 0.273
Ga 0.253 0.747 0.727
Ga 0.747 0.253 0.273
Ga 0.747 0.253 0.727
Ga 0.747 0.747 0.273
Ga 0.747 0.747 0.727
Ag 0.000 0.500 0.500
Ag 0.500 0.000 0.500

Top 12 peaks for 10° ≤ 2θ ≤ 90°, by angle:
| two_theta | I_rel |
| --- | --- |
| 19.13 | 17 |
| 25.43 | 28 |
| 33.51 | 10 |
| 37.57 | 10 |
| 38.86 | 100 |
| 44.80 | 15 |
| 48.12 | 23 |
| 49.13 | 9 |
| 55.18 | 9 |
| 63.47 | 15 |
| 70.31 | 8 |
| 83.46 | 24 |

---

Number 3 is which compound? CaGa8Ag2

---

Which formula does entry 3 have? CaGa8Ag2
# Brief
It remains to write out the whole of the entries earlier on word for word.
# Solution
For Ca3Ga3Ag8, a DFT-relaxed cell (GGA-PBE, Alexandria) gives the computed PXRD pattern in this record (copper Kα).
Kinematic intensities with the Lorentz-polarization factor, no thermal factor.

Cell and atoms:
Cell lengths 8.537, 8.537, 8.537 Å; angles 148.50, 109.35, 79.40 degrees
Atoms (fractional coordinates):
Ca 0.000 0.000 0.000
Ca 0.297 0.297 0.000
Ca 0.703 0.703 0.000
Ga 0.317 0.500 0.817
Ga 0.500 0.000 0.500
Ga 0.683 0.500 0.183
Ag 0.020 0.660 0.360
Ag 0.163 0.873 0.290
Ag 0.299 0.660 0.640
Ag 0.417 0.127 0.290
Ag 0.583 0.873 0.710
Ag 0.701 0.340 0.360
Ag 0.837 0.127 0.710
Ag 0.980 0.340 0.640

Top 12 peaks for 10° ≤ 2θ ≤ 90°, by angle:
| two_theta | I_rel |
| --- | --- |
| 17.97 | 51 |
| 21.18 | 40 |
| 32.75 | 42 |
| 33.39 | 61 |
| 33.50 | 75 |
| 34.69 | 37 |
| 36.16 | 44 |
| 38.87 | 81 |
| 42.04 | 42 |
| 43.58 | 100 |
| 46.54 | 38 |
| 57.98 | 30 |

---

For Ca4GaAg2, a DFT-relaxed cell (GGA-PBE, Alexandria) gives the computed PXRD pattern in this record (copper Kα).
Kinematic intensities with the Lorentz-polarization factor, no thermal factor.

Cell and atoms:
Cell lengths 8.955, 8.955, 8.955 Å; angles 34.01, 34.01, 34.01 degrees
Atoms (fractional coordinates):
Ca 0.124 0.124 0.124
Ca 0.375 0.375 0.375
Ca 0.625 0.625 0.625
Ca 0.876 0.876 0.876
Ga 0.000 0.000 0.000
Ag 0.251 0.251 0.251
Ag 0.749 0.749 0.749

Top 12 peaks for 10° ≤ 2θ ≤ 90°, by angle:
| two_theta | I_rel |
| --- | --- |
| 10.50 | 15 |
| 20.80 | 37 |
| 24.15 | 18 |
| 34.24 | 100 |
| 34.59 | 97 |
| 40.56 | 13 |
| 49.46 | 33 |
| 61.31 | 17 |
| 61.53 | 33 |
| 62.20 | 16 |
| 82.53 | 14 |
| 83.12 | 13 |

---

For CaGa8Ag2, a DFT-relaxed cell (GGA-PBE, Alexandria) gives the computed PXRD pattern in this record (copper Kα).
Kinematic intensities with the Lorentz-polarization factor, no thermal factor.

Cell and atoms:
Cell lengths 5.348, 5.348, 9.280 Å; angles 90.00, 90.00, 90.00 degrees
Atoms (fractional coordinates):
Ca 0.000 0.000 0.000
Ga 0.253 0.253 0.273
Ga 0.253 0.253 0.727
Ga 0.253 0.747 0.273
Ga 0.253 0.747 0.727
Ga 0.747 0.253 0.273
Ga 0.747 0.253 0.727
Ga 0.747 0.747 0.273
Ga 0.747 0.747 0.727
Ag 0.000 0.500 0.500
Ag 0.500 0.000 0.500

Top 12 peaks for 10° ≤ 2θ ≤ 90°, by angle:
| two_theta | I_rel |
| --- | --- |
| 19.13 | 17 |
| 25.43 | 28 |
| 33.51 | 10 |
| 37.57 | 10 |
| 38.86 | 100 |
| 44.80 | 15 |
| 48.12 | 23 |
| 49.13 | 9 |
| 55.18 | 9 |
| 63.47 | 15 |
| 70.31 | 8 |
| 83.46 | 24 |

---

Number 3 is which compound? CaGa8Ag2

---

Which formula does entry 3 have? CaGa8Ag2